African valets who park the cars at Penn Medicine say they got fired after trying to unionize
Six parking lot attendants, nearly all of them immigrants from Africa, were fired in June by their employer, Impark. Union 32BJ SEIU says it was retaliation for union activity. Impark has denied this.

When he was 24, Surafel Fisiha won the lottery.
His prize wasn't cash, but a visa that allowed him to come to the United States.
He had a good job in his hometown of Addis Ababa, Ethiopia's capital, installing computer networking in universities and banks. But if he lost that job, he knew it'd be hard to find another. And everyone talked about how America was a place of opportunity — maybe, he thought, that meant he'd be able to get a better job and help his family.
America, he soon learned, was far from what he expected. More than a decade later, he again found himself in another unexpected position: as one of the leaders in a campaign to unionize parking lot attendants in Philadelphia.
Now 35 and living in Southwest Philly with his wife, wife's mother, and two toddlers, Fisiha is one of six parking lot attendants who were fired last month for trying to form a union, according to SEIU 32BJ, which is working to organize valets around the city. Their experience offers a window into the challenges private-sector workers face when trying to unionize. The valets who lost their jobs, nearly all immigrants from Africa, worked at parking facilities at the Hospital of the University of Pennsylvania (HUP) run by parking giant Impark, short for Imperial Parking. Impark spokesperson Leonard Calder said allegations that the company fired employees for union activity are "unfounded," adding that it respects its employees' right to choose whether to join a union.
Fisiha, who goes by "S.F." and worked at Impark for two years before being fired in June, said it was shortly after he encouraged coworkers to sign a union petition that management called him in for a meeting. There, three managers told him he was being fired because he left during the workday to play soccer in May, which Fisiha says is false.
In a memo posted in the workplace, Impark denied firing Fisiha for union activity, saying that he had abused "well-known company policies."
"The important thing," the memo read, "is that Surafel knows what he did and hopefully he will encourage others not to make the same mistake."
His former coworkers, Fatoman Traore, or "F.T.," a Malian immigrant who started with Impark at $4 an hour in the early 2000s, and Thomas Frezgi, a nine-year Impark employee from Eritrea, also were let go.
# Records of crystals from another source follow
=====
For SrFeO2F, a PBE+U-relaxed structure gives the theoretical X-ray powder pattern in this record (Cu Kα (weighted mean of Kα1 and Kα2)).
No peak broadening, texture or thermal motion is included.

Cell and atoms:
```
data_SrFeO2F
_chemical_formula_sum 'Sr4 Fe4 O8 F4'
_space_group_name_H-M_alt 'C 1 2/m 1'
_space_group_IT_number 12
_space_group_name_Hall '-C 2y'
_cell_length_a 8.0590
_cell_length_b 7.8630
_cell_length_c 5.7000
_cell_angle_alpha 90.00
_cell_angle_beta 134.65
_cell_angle_gamma 90.00
loop_
_atom_site_label
_atom_site_fract_x
_atom_site_fract_y
_atom_site_fract_z
Sr1 0.2461 0.0000 0.0120
Fe1 0.2500 0.2500 0.5000
O1 0.0000 0.2684 0.5000
O2 0.1881 0.0000 0.4062
F1 0.0000 0.2999 0.0000
```

Main lines, most intense first (10 to 90 degrees two-theta):
hkl 0 2 1, 31.7°, I 1000; hkl 2 2 -1, 31.8°, I 938; hkl 2 0 -2, 31.4°, I 445; hkl 2 0 0, 31.2°, I 438; hkl 4 2 -1, 56.0°, I 396; hkl 4 0 -2, 45.0°, I 386; hkl 0 0 2, 44.7°, I 367; hkl 0 4 0, 46.2°, I 317

---

For Fe3Pb5F19, a PBE+U-relaxed structure gives the theoretical X-ray powder pattern in this record (Cu Kα (weighted mean of Kα1 and Kα2)).
No peak broadening, texture or thermal motion is included.

Cell and atoms:
```
data_Fe3Pb5F19
_chemical_formula_sum 'Fe12 Pb20 F76'
_space_group_name_H-M_alt 'I 4 c m'
_space_group_IT_number 108
_space_group_name_Hall 'I 4 -2c'
_cell_length_a 14.6355
_cell_length_b 14.6355
_cell_length_c 7.9094
_cell_angle_alpha 90.00
_cell_angle_beta 90.00
_cell_angle_gamma 90.00
loop_
_atom_site_label
_atom_site_fract_x
_atom_site_fract_y
_atom_site_fract_z
Fe1 0.0000 0.0000 0.0000
Fe2 0.1611 0.3389 0.3012
Pb1 0.0000 0.5000 0.4591
Pb2 0.0704 0.2278 0.8561
F1 0.0000 0.0000 0.2458
F2 0.0578 0.1189 0.4879
F3 0.0643 0.3077 0.4655
F4 0.0724 0.4276 0.2126
F5 0.1050 0.2480 0.1481
F6 0.1151 0.3849 0.8472
F7 0.2504 0.2496 0.3695
```

Main lines, most intense first (10 to 90 degrees two-theta):
hkl 4 1 1, 27.5°, I 1000; hkl 0 0 2, 22.5°, I 747; hkl 3 2 1, 24.7°, I 707; hkl 4 2 0, 27.3°, I 644; hkl 4 1 3, 42.7°, I 490; hkl 6 3 1, 43.0°, I 364; hkl 2 2 2, 28.4°, I 315; hkl 2 1 1, 17.6°, I 265

---

For Rb2FeF5, a PBE+U-relaxed structure gives the theoretical X-ray powder pattern in this record (Cu Kα (weighted mean of Kα1 and Kα2)).
No peak broadening, texture or thermal motion is included.

Cell and atoms:
```
data_Rb2FeF5
_chemical_formula_sum 'Rb8 Fe4 F20'
_space_group_name_H-M_alt 'P n m a'
_space_group_IT_number 62
_space_group_name_Hall '-P 2ac 2n'
_cell_length_a 7.7346
_cell_length_b 5.9148
_cell_length_c 12.2391
_cell_angle_alpha 90.00
_cell_angle_beta 90.00
_cell_angle_gamma 90.00
loop_
_atom_site_label
_atom_site_fract_x
_atom_site_fract_y
_atom_site_fract_z
Rb1 0.0131 0.2500 0.2254
Rb2 0.1536 0.7500 0.4157
Fe1 0.1617 0.7500 0.0620
F1 0.0000 0.0000 0.0000
F2 0.0179 0.7500 0.1897
F3 0.1907 0.0128 0.6151
F4 0.2242 0.2500 0.4190
```

Main lines, most intense first (10 to 90 degrees two-theta):
=====
It's illegal to terminate someone for union activity, but it's a well-documented tactic for employers to intervene with a union campaign, both because it's hard to prove the reason for dismissal and because it sends a powerful message to others. A 2011 report from the left-leaning Economic Policy Institute found that in one-third of union elections, employers responded by firing workers. During 32BJ's years-long campaign to organize Philadelphia airport employees, workers who were especially outspoken about working conditions were fired, incidents which wheelchair attendant and union leader Onetha McKnight said were among the most challenging times during the campaign.
(SEIU has filed a complaint with the National Labor Relations Board about the firings, but this process could take months or years.)
Another common tactic is threatening to stop operations or move labor offshore, and in some cases, like with local news outlets DNAinfo and Gothamist, owners do shut down when workers vote to unionize. In Impark's case, Fisiha and his coworkers say that management told them they'd lose their jobs if they voted for a union because a union would cause Impark to lose its contract with Penn.
Impark, a Canadian company that employs more than 9,000 and operates 3,500 facilities across Canada and the United States, began running the parking lots at HUP and other hospitals in the area in 2001, when it acquired parking operator DLC Management Group. Some U.S. Impark employees are unionized, like those in Seattle, but according to a review of collective bargaining agreements, the company appears to have more union employees in Canada.
Asked how unionization would affect contracts, Penn Medicine Vice President for Public Affairs Patrick Norton said through a spokesperson, "We respect employees' right to organize and have never indicated that any efforts to do so would impact our current contract with Impark/DLC."
If firings and threats to shut down the company are the "stick," the "carrot" can come in the form of raises or promises of change. Before being fired, the attendants said they got an unexpected raise of 17 cents an hour. This bumped Frezgi up to a rate of $10.08, to which Traore quipped, "You're lucky." Traore was making less — $9.48 an hour — after working at the company for six years longer than Frezgi.
But for the valets, like other low-wage workers fighting for unions, it's not just about money. It's about not worrying you'll be fired for any misstep. It's about having a form of representation in a job when every customer complaint — whether it's unrealistic ("You used my whole tank of gas") or insignificant ("Why'd you roll the window down?") or borderline cruel ("You made my car smell bad") — can get you in trouble.
"I work two jobs, I work long hours. That's not the point," Fisiha said. "The point is for respect."
Since coming to the States, he worked at the Marshalls warehouse in the Northeast, at a 7-Eleven, and as a taxi driver, which he says became unsustainable after Uber and the long hours he had to work to afford his weekly $450 medallion payments and household bills. He eventually landed two valet jobs, working back-to-back eight-hour shifts during the week, before he got fired at Impark.
But now he has a house of his own and a family. Though he doesn't have any time to spend with his family or friends like he did back home, he says there's still more opportunity for work in the U.S. than there was in Addis Ababa.
Now he's looking for a second job. And he still believes in improving conditions at parking garages, out of respect for his fellow valets, most of whom are immigrants, like him, from Africa.